It remains to print only the lines underneath with the word "Mn3" in them.

<<<
VASP calculation (PBE-GGA) on Sr2Zn3As2O2 after structural relaxation.

Values from the calculation:
**M_tot**: 0.00 μB per cell
**MP2020-corrected energy**: -39.46 eV for the cell shown
**Calculated volume**: 163.2 Å³ per cell
**ΔE_f**: -13.083 eV per formula unit

Cell lengths 9.9963, 9.9963, 9.9963 Å; angles 156.15, 156.15, 33.99 degrees
Element x y z (fractional)
Sr 0.0850 0.0850 0.0000
Sr 0.9150 0.9150 0.0000
Zn 0.2500 0.7500 0.5000
Zn 0.5000 0.5000 0.0000
Zn 0.7500 0.2500 0.5000
As 0.3317 0.3317 0.0000
As 0.6683 0.6683 0.0000
O 0.0000 0.5000 0.5000
O 0.5000 0.0000 0.5000


1.
Compound: MgMn2O2F2
Source: Materials Project
Functional: PBE with a Hubbard U
Structure: relaxed

a = 3.490 Å, b = 3.918 Å, c = 7.196 Å
α = 90.00°, β = 103.38°, γ = 90.00°
Space group Pm (No. 6)
Asymmetric unit:
Mg1 0.000 0.000 0.000
Mn1 0.250 0.000 0.529
Mn2 0.618 0.500 0.251
O1 0.205 0.500 0.435
O2 0.572 0.000 0.148
F1 0.008 0.500 0.993
F2 0.835 0.000 0.712

Results
size of the total moment: 10.00 μB/f.u.
formation energy from the elements: -60.63 kcal/mol of atoms

---

2.
Compound: MgMn6O7F5
Source: Materials Project
Functional: PBE with a Hubbard U
Structure: relaxed

a = 5.224 Å, b = 5.834 Å, c = 7.817 Å
α = 82.39°, β = 82.84°, γ = 80.05°
Space group P1 (No. 1)
Asymmetric unit:
Mg1 0.000 0.000 0.000
Mn1 0.038 0.371 0.194
Mn2 0.492 0.150 0.820
Mn3 0.505 0.835 0.179
Mn4 0.524 0.517 0.512
Mn5 0.969 0.623 0.809
Mn6 0.989 0.982 0.505
O1 0.299 0.787 0.403
O2 0.307 0.124 0.061
O3 0.311 0.460 0.734
O4 0.698 0.550 0.279
O5 0.702 0.203 0.602
O6 0.705 0.860 0.935
O7 0.827 0.716 0.599
F1 0.165 0.661 0.045
F2 0.172 0.969 0.759
F3 0.177 0.250 0.424
F4 0.834 0.334 0.950
F5 0.836 0.033 0.243

Results
size of the total moment: 25.00 μB/f.u.
formation energy from the elements: -55.17 kcal/mol of atoms

---

3.
Compound: MgMn6O11F
Source: Materials Project
Functional: PBE with a Hubbard U
Structure: relaxed

a = 6.428 Å, b = 2.940 Å, c = 11.546 Å
α = 90.00°, β = 102.11°, γ = 90.00°
Space group Pm (No. 6)
Asymmetric unit:
Mg1 0.000 0.000 0.000
Mn1 0.110 0.000 0.791
Mn2 0.394 0.500 0.204
Mn3 0.492 0.000 0.487
Mn4 0.602 0.500 0.802
Mn5 0.884 0.000 0.208
Mn6 0.996 0.500 0.498
O1 0.054 0.500 0.683
O2 0.145 0.500 0.913
O3 0.187 0.000 0.173
O4 0.196 0.000 0.504
O5 0.412 0.000 0.805
O6 0.449 0.500 0.382
O7 0.580 0.000 0.191
O8 0.800 0.000 0.500
O9 0.808 0.000 0.829
O10 0.851 0.500 0.085
O11 0.936 0.500 0.317
F1 0.545 0.500 0.612

Results
size of the total moment: 21.00 μB/f.u.
formation energy from the elements: -46.32 kcal/mol of atoms

---

4.
Compound: MgMn6O7F5
Source: Materials Project
Functional: PBE with a Hubbard U
Structure: relaxed

a = 5.761 Å, b = 6.018 Å, c = 7.732 Å
α = 109.04°, β = 95.08°, γ = 112.35°
Space group P1 (No. 1)
Asymmetric unit:
Mg1 0.000 0.000 0.000
Mn1 0.021 0.466 0.978
Mn2 0.307 0.527 0.348
Mn3 0.395 0.023 0.808
Mn4 0.618 0.515 0.666
Mn5 0.622 0.007 0.172
Mn6 0.975 0.021 0.517
O1 0.120 0.157 0.802
O2 0.263 0.326 0.509
O3 0.348 0.690 0.163
O4 0.603 0.861 0.893
O5 0.667 0.711 0.502
O6 0.671 0.331 0.827
O7 0.953 0.305 0.168
F1 0.063 0.710 0.832
F2 0.210 0.816 0.524
F3 0.376 0.175 0.121
F4 0.721 0.179 0.450
F5 0.910 0.853 0.201

Results
size of the total moment: 25.00 μB/f.u.
formation energy from the elements: -54.16 kcal/mol of atoms

---

5.
Compound: MgMn12O17F7
Source: Materials Project
Functional: PBE with a Hubbard U
Structure: relaxed

a = 4.784 Å, b = 5.721 Å, c = 14.992 Å
α = 90.59°, β = 93.48°, γ = 90.16°
Space group P1 (No. 1)
Asymmetric unit:
Mg1 0.000 0.000 0.000
Mn1 0.011 0.581 0.670
Mn2 0.037 0.289 0.834
Mn3 0.441 0.735 0.173
Mn4 0.454 0.094 0.337
Mn5 0.462 0.747 0.495
Mn6 0.483 0.270 0.000
Mn7 0.486 0.764 0.832
Mn8 0.506 0.085 0.658
Mn9 0.965 0.260 0.184
Mn10 0.981 0.554 0.344
Mn11 0.989 0.523 0.011
Mn12 0.997 0.288 0.509
O1 0.169 0.275 0.072
O2 0.169 0.517 0.234
O3 0.194 0.755 0.066
O4 0.200 0.321 0.401
O5 0.218 0.527 0.565
O6 0.244 0.038 0.227
O7 0.249 0.799 0.388
O8 0.252 0.517 0.916
O9 0.265 0.041 0.552
>>>

Mn3 0.505 0.835 0.179
Mn3 0.492 0.000 0.487
Mn3 0.395 0.023 0.808
Mn3 0.441 0.735 0.173